Photo of stop watch with text

How to teach your students to read at 600 words per minute – Part 3

- - -
# Zr4AlAsN2
Calculated X-ray powder pattern, copper Kα. Input: a GGA-PBE-relaxed structure.

Atomic structure:
Lattice parameters (Å, degrees): 3.3495 3.3495 13.3834 90.00 90.00 120.00
Space group P-6m2 (No. 187)
Asymmetric unit:
Zr 0.0000 0.0000 0.1437
Zr 0.6667 0.3333 0.3303
Al 0.0000 0.0000 0.5000
As 0.6667 0.3333 0.0000
N 0.3333 0.6667 0.2391

Largest 8 diffraction maxima, sorted by position, 2θ = 10–90°:
| h k l | 2θ (°) | I (rel.) |
| --- | --- | --- |
| 1 0 0 | 30.82 | 24 |
| 1 0 3 | 36.96 | 100 |
| 0 0 6 | 40.44 | 12 |
| 1 0 4 | 41.19 | 11 |
| 1 0 6 | 51.70 | 14 |
| 1 1 0 | 54.82 | 25 |
| 2 0 3 | 67.96 | 16 |
| 1 1 6 | 70.29 | 14 |

=====

Structure and theoretical XRD peak list of BC5 (a crystal structure in Alexandria, relaxed with PBE; Cu Ka).

The 8 most intense peaks (10° ≤ 2θ ≤ 80°), sorted by position:
2θ (°)	d/Å	I/Imax	hkl
19.65	4.517	6	1 0 0
24.00	3.708	3	1 0 -1
28.07	3.179	2	0 0 2
42.68	2.119	92	2 0 1
43.43	2.084	100	1 1 -1
73.23	1.293	50	3 1 0
73.35	1.291	13	2 0 4
75.48	1.260	12	0 2 0

```
data_BC5
_cell_length_a 4.518
_cell_length_b 2.519
_cell_length_c 6.358
_cell_angle_alpha 90.00
_cell_angle_beta 90.85
_cell_angle_gamma 90.00
_space_group_name_H-M_alt 'P 1 21/m 1'
_space_group_IT_number 11
_space_group_name_Hall '-P 2yb'
loop_
_atom_site_label
_atom_site_type_symbol
_atom_site_fract_x
_atom_site_fract_y
_atom_site_fract_z
_atom_site_occupancy
B1 B 0.072 0.250 0.212 1
C1 C 0.084 0.250 0.463 1
C2 C 0.264 0.750 0.875 1
C3 C 0.268 0.750 0.112 1
C4 C 0.418 0.250 0.542 1
C5 C 0.423 0.250 0.789 1
```
- - -

The third installment in the series explains how to choose content that your student can use to increase their reading speed.

Use content that fascinates

The most important criterion for choosing content that your student will use to practice reading speed is the degree to which the content fascinates your student. Ideally, your student should be totally enthralled by the subject of the content. That high level of interest and engagement will offset the monotony of the exercises I’ll discuss in the next post in this series.

Don’t use assigned reading material from a class. Find content that is unexpectedly fun for your student.

Use content that sounds good when read aloud

The second most important criterion is that the content sounds good when read aloud. In my experience, that includes content that consists of a series of paragraphs of medium length, e.g. 5-10 sentences. Also, the language should be easily spoken. This feature is hard to quantify and describe. So, try reading the content out loud yourself. If it is difficult to read aloud, avoid it.

Don’t use content with dialog. Dialog breaks up the flow and requires the reader to keep track of which character is speaking.

Don’t use content with unfamiliar jargon or technical terms. The goal of this exercise is to increase reading speed not increase vocabulary.

Use content that is a short passage from a larger work

I think the ideal length for content that your student uses to practice reading speed is between approximately 500 and 1,000 words. Of course, the length will vary based on your student’s age. The rationale behind this length is that the content can be read within a few minutes. You can use Microsoft Word to measure word count. 

A chapter from a fiction or compelling non-fiction book might be perfect. The fact that the content is a passage from a larger work creates the possibility for your student to get pulled into the story. If your student acts on her inherent interest in the story then your job will be much easier.

Use content that is popular

I’m using the term “popular” to serve as a heuristic for “good”. If content is popular, then we can assume it is engaging and entertaining. In other words, the fact that it is popular implies that the content survived the selective publishing process and that a certain number of readers thought the content was good enough to read and recommend. 

Don’t use content that was developed specifically for K12 education. Use the wisdom of the global audience of readers to identify content that tells a compelling story.

Use content that creates unresolved tension

Ideally, your student will want to continue reading the broader work from which the content was selected. An inherent interest in the subject increases the chances that will happen. Another way to do that is to choose a passage that creates tension yet fails to resolve that tension. 

As a general rule, the first chapter of a popular work of fiction should meet this criterion. The sole purpose of the first chapter of any work of fiction is to create a reason for the reader to read the second chapter. The fact that the work is popular implies that the first chapter fulfilled this purpose.

Don’t use content that ties together all the loose ends of the story. For example, a complete short story should not be used for this exercise.

Final thoughts

## Records of crystals, as found in the file
Diffraction record for VS2. The X-ray powder pattern is computed, not measured: it uses DFT lattice parameters and positions (GGA-PBE) and Cu Kα (weighted mean of Kα1 and Kα2).
No peak broadening, texture or thermal motion is included.

Structure:
```
data_VS2
_chemical_formula_sum 'V1 S2'
_cell_length_a 2.8851
_cell_length_b 3.4899
_cell_length_c 28.1496
_cell_angle_alpha 90.00
_cell_angle_beta 90.00
_cell_angle_gamma 90.00
_space_group_name_H-M_alt 'P m m m'
_space_group_IT_number 47
loop_
_space_group_symop_operation_xyz
'x,y,z'
'-x,-y,-z'
'-x,-y,z'
'x,y,-z'
'x,-y,-z'
'-x,y,z'
'-x,y,-z'
'x,-y,z'
loop_
_atom_site_label
_atom_site_fract_x
_atom_site_fract_y
_atom_site_fract_z
V1 0.0000 0.0000 0.0000
S1 0.5000 0.0000 0.0612
```

Peak list (10 most intense, 5° ≤ 2θ ≤ 70°, low angle first)
- 6.28 deg, rel. 100
- 9.43 deg, rel. 26
- 12.58 deg, rel. 6
- 25.52 deg, rel. 6
- 25.72 deg, rel. 10
- 26.31 deg, rel. 7
- 27.26 deg, rel. 4
- 38.40 deg, rel. 3
- 46.68 deg, rel. 4
- 48.44 deg, rel. 4

=====

1.
Diffraction record for Na4Al3Si3CNO13. The X-ray diffraction stick pattern is simulated, not measured: it uses a GGA-PBE-relaxed structure and Cu Kα (weighted mean of Kα1 and Kα2).
Peak positions follow from Bragg's law for the DFT cell and can differ from measured ones.

Peak list (10 most intense, 2θ from 15° to 90°, most intense first)
2θ/deg	d/Å	intensity
24.20	3.678	100
34.29	2.615	42
23.79	3.741	30
42.75	2.115	26
30.60	2.921	13
41.49	2.176	10
50.90	1.794	8
59.65	1.550	8
42.08	2.147	7
57.20	1.611	6

Atomic structure:
```
Na4Al3Si3CNO13
1.0
6.3329 -6.3376 0.0000
6.3329 6.3376 0.0000
0.0000 0.0000 9.2702
Na Al Si C N O
8 6 6 2 2 26
Direct
0.1852 0.6848 0.0000
0.1913 0.3092 0.5961
0.3092 0.1913 0.0961
0.3152 0.8148 0.5000
0.6848 0.1852 0.5000
0.6908 0.8087 0.0961
0.8087 0.6908 0.5961
0.8148 0.3152 0.0000
0.0000 0.0000 0.0514
0.0000 0.0000 0.5514
0.2521 0.5010 0.3008
0.4990 0.7479 0.8008
0.5010 0.2521 0.8008
0.7479 0.4990 0.3008
0.0007 0.7523 0.3011
0.2477 0.9993 0.8011
0.5000 0.5000 0.0511
0.5000 0.5000 0.5511
0.7523 0.0007 0.8011
0.9993 0.2477 0.3011
0.0000 0.5000 0.7911
0.5000 0.0000 0.2911
0.0000 0.5000 0.9206
0.5000 0.0000 0.4206
0.0000 0.5000 0.6586
0.0554 0.8507 0.4411
0.0566 0.1487 0.1623
0.1424 0.3479 0.3531
0.1457 0.6561 0.2479
0.1487 0.0566 0.6623
0.1493 0.9446 0.9411
0.3439 0.8543 0.7479
0.3479 0.1424 0.8531
0.3595 0.4441 0.1509
0.3591 0.5555 0.4518
0.4441 0.3595 0.6509
0.4445 0.6409 0.9518
0.5000 0.0000 0.1586
0.5555 0.3591 0.9518
0.5559 0.6405 0.6509
0.6409 0.4445 0.4518
0.6405 0.5559 0.1509
0.6521 0.8576 0.8531
0.6561 0.1457 0.7479
0.8507 0.0554 0.9411
0.8513 0.9434 0.6623
0.8543 0.3439 0.2479
0.8576 0.6521 0.3531
0.9434 0.8513 0.1623
0.9446 0.1493 0.4411
```

---

2.
Diffraction record for Ag17Sb2. The X-ray diffraction stick pattern is simulated, not measured: it uses a GGA-PBE-relaxed structure and Cu Kα (weighted mean of Kα1 and Kα2).
Peak positions follow from Bragg's law for the DFT cell and can differ from measured ones.

Summary: Find a subject that fascinates your student. Find a popular novel or non-fiction book that tells a story about that topic. Read the first chapter of that book and verify that it sounds good when read out loud and it creates unresolved tension. Download that book from

Now, you have the motivation, tools, and content to help your student increase her reading speed. The final post in this series will cover methodology.

600 Words Per Minute Series


By Ed Summers

Image of a stop watch with text

How to teach your students to read at 600 words per minute – Part 4

-- Here the piece breaks off for materials data --
# MgTe4Mo4Se2S2
Simulated powder diffraction line list, a wavelength of 1.5418 Å. Input: a DFT-relaxed cell (GGA-PBE, the Materials Project).
No peak broadening, texture or thermal motion is included.

Largest 10 diffraction maxima, sorted by position, 10 to 90 degrees two-theta:
- 2θ 11.44, I = 98, (0 0 5)
- 2θ 30.48, I = 61, (1 0 0)
- 2θ 35.79, I = 100, (1 0 -8)
- 2θ 37.09, I = 14, (1 1 9)
- 2θ 38.50, I = 18, (1 1 10)
- 2θ 43.30, I = 55, (1 1 -13)
- 2θ 45.07, I = 16, (1 1 14)
- 2θ 54.13, I = 39, (1 2 0)
- 2θ 66.59, I = 16, (2 2 -8)
- 2θ 76.37, I = 17, (2 1 21)

Atomic structure:
Cell lengths 3.389, 3.389, 38.676 Å; angles 90.00, 90.00, 60.00 degrees
Space group P1 (No. 1)
Inequivalent atoms, fractional coordinates:
Mg1 0.000 0.000 0.000 [1 per cell]
Te1 0.046 0.005 0.176 [1 per cell]
Te2 0.046 0.005 0.273 [1 per cell]
Te3 0.713 0.672 0.364 [1 per cell]
Te4 0.713 0.672 0.461 [1 per cell]
Mo1 0.046 0.005 0.412 [1 per cell]
Mo2 0.047 0.005 0.788 [1 per cell]
Mo3 0.713 0.672 0.224 [1 per cell]
Mo4 0.713 0.672 0.600 [1 per cell]
Se1 0.713 0.672 0.745 [1 per cell]
Se2 0.713 0.672 0.831 [1 per cell]
S1 0.046 0.005 0.561 [1 per cell]
S2 0.046 0.005 0.639 [1 per cell]

***

# MgTe4Mo4Se2S2
Simulated powder diffraction line list, a wavelength of 1.5418 Å. Input: a DFT-relaxed cell (GGA-PBE, the Materials Project).
No peak broadening, texture or thermal motion is included.

Largest 10 diffraction maxima, sorted by position, 10 to 90 degrees two-theta:
- 2θ 10.39, I = 100, (0 0 5)
- 2θ 12.48, I = 13, (0 0 6)
- 2θ 30.25, I = 46, (1 1 0)
- 2θ 34.71, I = 54, (1 1 8)
- 2θ 35.82, I = 12, (2 0 9)
- 2θ 38.31, I = 11, (2 0 -11)
- 2θ 41.13, I = 62, (2 0 -13)
- 2θ 42.65, I = 17, (1 1 -14)
- 2θ 53.69, I = 28, (3 1 0)
- 2θ 54.86, I = 12, (1 1 -21)

Atomic structure:
Cell lengths 5.915, 3.414, 42.562 Å; angles 90.00, 90.11, 90.00 degrees
Space group Cm (No. 8)
Inequivalent atoms, fractional coordinates:
Mg1 0.000 0.000 0.000 [2 per cell]
Te1 0.330 0.000 0.496 [2 per cell]
Te2 0.331 0.000 0.583 [2 per cell]
Te3 0.496 0.500 0.684 [2 per cell]
Te4 0.498 0.500 0.772 [2 per cell]
Mo1 0.330 0.000 0.728 [2 per cell]
Mo2 0.331 0.000 0.107 [2 per cell]
Mo3 0.497 0.500 0.539 [2 per cell]
Mo4 0.498 0.500 0.910 [2 per cell]
Se1 0.496 0.500 0.068 [2 per cell]
Se2 0.498 0.500 0.145 [2 per cell]
S1 0.331 0.000 0.875 [2 per cell]
S2 0.331 0.000 0.946 [2 per cell]

~~~~~

Record 1
Structure and computed XRD peak list of NpGaRh2 (DFT lattice parameters and positions (GGA-PBE); Cu Kα (weighted mean of Kα1 and Kα2)).

Largest 6 diffraction maxima, sorted by position, 10 to 80 degrees two-theta:
23.81 deg, d 3.738, I 22; 39.36 deg, d 2.289, I 100; 46.52 deg, d 1.952, I 12; 56.89 deg, d 1.619, I 17; 62.54 deg, d 1.485, I 5; 71.37 deg, d 1.322, I 35

Cell and atoms:
Unit cell a=6.474 b=6.474 c=6.474 alpha=90.00 beta=90.00 gamma=90.00
Space group Fm-3m (No. 225)
Inequivalent atoms, fractional coordinates:
Np 0.000 0.000 0.000 (multiplicity 4)
Ga 0.000 0.000 0.500 (multiplicity 4)

Image of a stop watch with text

How to teach your students to read at 600 words per minute – Part 2

Image of a stop watch with text

Five reasons why your students should learn to read at a rate of 600 words per minute